Thinking Fast and Slow by Daniel Kahneman (Book Review)

Models are tools that help us to better understand and predict some aspect of the world. There is a natural appreciation that a model must be a simplification of reality in the sense that extraneous details should be excluded. The failure to impose some level of parsimony on a model would lead to an outcome like Borges’ map – objects so complicated and intractable that by the time they have solved a problem one could have just waited for the world to play out in real time. Assuming that a model receives some inputs and provides some useful outputs there are two ways in which these models could be labeled as “wrong”. First, a model may either use irrelevant inputs or fail to use relevant features. Second, even if a model has access to the necessary information, they way in which it obtains its outputs may depart from reality.

In the field of economics, how decisions are made is viewed through the lens of an agent solving an optimization problem; this could be some complex integral or a set of possible actions to pick from in a repeated game. Because the only humans that have ever solved a lifecycle income/saving problem in the form of a Bellman equation are economic graduate students, this model of the world clearly obtains outputs in a way different from the real world. However, as long as the outputs are fairly accurate, that is they align with what is actually observed in the world, this dual formulation of the problem seems acceptable. Milton Friedman famously defended this position as the “as if” argument.

Here the page breaks off for records of molecules
____________
Entry from OMol25: one molecule with the formula C4H5NO2 (ωB97M-V with the def2-TZVPD basis set).

Each line ends with the Löwdin charge.
Positions of all 12 atoms, in Å:
O (1.7395, 1.7144, 1.0106)  0.079
C (1.8233, 0.5849, 0.5991)  -0.152
C (0.6348, -0.0269, -0.0692)  -0.434
C (-0.7901, 0.6710, -0.2774)  -0.040
C (-1.3282, -0.7619, -0.1996)  -0.130
N (-0.0043, -1.2474, 0.3500)  0.059
O (0.9232, -1.1707, -0.8171)  0.021
H (2.7509, -0.0306, 0.6546)  0.141
H (-0.8725, 1.2157, -1.2087)  0.098
H (-1.2100, 1.2917, 0.5501)  0.127
H (-2.0829, -1.0006, 0.5579)  0.115
H (-1.5837, -1.2396, -1.1504)  0.118

The HOMO energy comes out at -10.28 eV. The largest force on an atom comes out at 0.0303 Eh/bohr. The total energy is -9810.025 eV. The value obtained for the energy above the lowest of the compared OMol25 structures with the same formula, charge and spin is 4.290 eV.


# 1
A molecular structure, C28H24FN4NbO4 in a non-equilibrium geometry, computed with wB97M-V/def2-TZVPD.

Calculated values
- highest occupied orbital energy (eV) = -7.9
- ΔE to the lowest compared entry with this formula, charge and spin (kcal/mol) = 1.0
- Kohn-Sham gap (eV) = 6.83
- electronic energy (eV) = -47844.661

```
! RIJCOSX wB97M-V def2-TZVPD def2/J DEFGRID3
* xyz 0 1
Nb -0.658 -0.335 -0.025
C 2.275 -0.442 3.054
C 1.536 0.829 2.722
N 0.618 0.865 1.756
C -0.019 2.146 1.898
C 0.662 2.846 2.828
N 1.647 1.974 3.339
C 0.405 4.158 3.543
O -0.818 4.637 3.353
O 1.338 4.595 4.210
C -1.293 2.357 1.144
O -2.051 3.306 1.459
O -1.509 1.434 0.247
H 2.760 -0.857 2.159
H 1.517 -1.178 3.365
H 3.103 -0.281 3.783
H 2.242 2.290 4.096
H -1.316 4.130 2.614
F -3.725 3.618 -3.750
C -3.560 2.343 -3.338
C -4.472 1.804 -2.413
C -4.082 0.650 -1.746
C -2.830 0.014 -1.982
C -2.361 -1.144 -1.207
C -2.081 0.433 -3.077
C -2.438 1.592 -3.751
H -5.466 2.217 -2.207
H -4.768 0.156 -1.069
H -1.801 -1.852 -1.852
H -3.091 -1.755 -0.670
H -1.342 -0.248 -3.485
H -1.751 1.992 -4.454
N -2.102 -6.678 3.465
C -1.812 -5.597 3.124
C -1.461 -4.313 2.647
C -2.233 -3.164 2.799
C -1.833 -1.982 2.192
C -0.691 -1.884 1.418
C 0.166 -2.969 1.423
C -0.242 -4.152 2.039
H -3.230 -3.178 3.311
H -2.492 -1.106 2.308
H 1.055 -3.049 0.802
H 0.408 -5.038 1.933
C 1.522 2.441 -1.681
C 2.392 1.260 -2.001
C 3.674 1.394 -2.500
C 4.486 0.305 -2.793
C 3.977 -0.988 -2.574
C 2.709 -1.205 -2.075
C 2.171 -2.593 -1.999
C 1.933 -0.040 -1.746
N 0.771 -0.295 -1.109
H 1.796 3.269 -2.346
H 1.743 2.763 -0.666
H 0.465 2.206 -1.827
H 3.954 2.422 -2.649
H 5.465 0.455 -3.208
H 4.635 -1.820 -2.843
H 2.598 -3.145 -2.853
H 1.076 -2.493 -2.073
H 2.430 -3.118 -1.059
*
```
____________
The page goes on

Consider the problem of predicting the shots made by an expert billiard player. It seems not at all unreasonable that excellent predictions would be yielded by the hypothesis that the billiard player made his shots as if he knew the complicated mathematical formulas that would give the optimum directions of travel, could estimate accurately by eye the angles, etc., describing the location of the balls, could make lightning calculations from the formulas, and could then make the balls travel in the direction indicated by the formulas. Our confidence in this hypothesis is not based on the belief that billiard players, even expert ones, can or do go through the process described; it derives rather from the belief that, unless in some way or other they were capable of reaching essentially the same result, they would not in fact be expert billiard players.

The “as if” argument also presents itself in areas of machine learning. For example the massive VGG19 convolutional neural network has around 140 million parameters that were learned by training over 14 million images. However if I show a 6-year old a picture of a Zebra for the first time, they will have both learned the class permanently with a single image and draw analogies to other animals. Clearly the human brain is more efficient, at least at a certain stage of development. It is also debatable whether the process of learning via backpropagation has any analogs in the human brain. While this is an interesting philosophical debate, the “as if” argument actually requires the dual formulation to describe with reasonable fidelity the phenomena that is observed in the real world. However thanks to the lifetime work of Daniel Kahneman and Amos Tversky it has been thoroughly established that traditional economic models do not even obtain an “as if” status as they fail to describe persistent behavioral tendencies that human beings actually have in the real world.

Thinking Fast and Slow gives a tour of the entire intellectual career of Kahneman, his collaborators (such as Tversky), and the field of behavioral economics. This subfield in economics is at the intersection of psychology and decision theory, the latter being a highly technical method of modeling human behavior. As a quick background, modern economic theory began in the late 19th century with the marginal revolution in which human decisions were framed in the context of marginal utility. Alfred Marshall’s Principles of Economics (1890) represents one of the foundational textbooks of this approach. However, the micro foundations of a decision theory framework were laid down shortly after WWII in the von Neumann-Morgenstern utility theorem which provided an elegant way of deriving rational behavior from a set of simple axioms. As an example of one such axiom consider transitivity which allows one to infer new preferences from previously observed preferences (if you tell me that apples are better than bananas, and bananas are better than oranges, than you must believe that apples are better than oranges). Critically, these axioms also provided a framework for understanding preferences under uncertainty. Instead of having an apple or a banana, there might be a lottery in which there is a 50% chance of having an apple and a 50% chance of having a banana. However, this lottery should still be preferred over a 50% change of having a banana and a 50% change of having an orange.

Next to the page, the page also holds data records.
/*
{
  "formula": "C28H80N8O12",
  "method": "the ωB97M-V functional and the def2-TZVPD basis",
  "max_force_ha_per_bohr": 0.2779,
  "energy_ha": -2455.3293,
  "smiles": "NC(N)=O.NC(N)=O.NC(N)=O.NC(N)=O.CC(C)O.CC(C)O.CC(C)O.CC(C)O.CC(C)O.CC(C)O.CC(C)O.CC(C)O",
  "homo_energy_ev": -8.718,
  "spin_multiplicity": 1,
  "elements": ["N", "C", "N", "O", "H", "H", "H", "H", "N", "C", "N", "O", "H", "H", "H", "H", "N", "C", "N", "O", "H", "H", "H", "H", "N", "C", "N", "O", "H", "H", "H", "H", "C", "C", "C", "O", "H", "H", "H", "H", "H", "H", "H", "H", "C", "C", "C", "O", "H", "H", "H", "H", "H", "H", "H", "H", "C", "C", "C", "O", "H", "H", "H", "H", "H", "H", "H", "H", "C", "C", "C", "O", "H", "H", "H", "H", "H", "H", "H", "H", "C", "C", "C", "O", "H", "H", "H", "H", "H", "H", "H", "H", "C", "C", "C", "O", "H", "H", "H", "H", "H", "H", "H", "H", "C", "C", "C", "O", "H", "H", "H", "H", "H", "H", "H", "H", "C", "C", "C", "O", "H", "H", "H", "H", "H", "H", "H", "H"],
*/
End of the data records.

One of the most seemingly well understood principles of human decision making under uncertainty is risk aversion. This stems from the fact that utility of money is concave such that the next dollar is worth less to an individual than the current one. Imagine you can have one of two lotteries: (Lottery A.1) Heads you get \$100, tails you get \$100 or (Lottery A.2) Heads you get \$210, tails you get \$0. While the second lottery has a higher average return (\$105), most people would prefer the sure thing in Lottery A.1 because \$200 is not twice as valuable to an individual as \$100. That humans will not accept a bet based solely on the expected payoff was first explicitly modeled almost 300 years ago by Daniel Bernoulli have developed the expected utility hypothesis. Modern decision theory is essentially built on the expected utility hypothesis and this idea has formed the bedrock of ideas underpinning risk management especially for insurance markets.

Unfortunately expected utility theory fails in the real world because individuals think in terms of gains and losses and not net changes in wealth under different lotteries. For example, consider the following lottery: (Lottery B.1) Heads you lose \$100, tails you lose \$100 or (Lottery B.2) Heads you lose \$200, tails you lose \$0. Whereas most people would have opted for the sure thing when a “gain” was at stake, most people prefer to pick Lottery B.2 in the case of a “loss” and go for broke. Can risk aversion explain both behaviors? No! And what’s worse they are actually inconsistent. Because risk aversion stems from the concave value of money (the next dollar is worth less than the current one), losing money should cause an individual to be even more risk averse because the previous dollar is worth even more than the current one! In other words, losing \$100 would be bad, but \$200 would be even worse because the marginal utility at that level of money is even higher.

Consider another lottery in which expected utility will fail to conform to actual human choice. This is known as the Allais paradox and it stems from the fact that humans factor in the concept of regret into their decision making. (Lottery C.1) 100% change to win \$1 million or (Lottery C.2) 89% chance to win \$1 million, 10% chance to win \$5 million, and a 1% chance to win \$0. Most people prefer Lottery C.1, because the extra chance to win a larger payout does not seem worth that small risk that something goes wrong. (Lottery D.1) 11% chance to win \$1 million, 89% chance to win nothing or (Lottery D.2) 10% chance to win \$5 million and a 90% chance to win \$0. Now most people prefer D.2 because the small change in winning is more than compensated by the increase in the size of the win. However, one of the axioms of decision theory is the independence axiom which states that adding an additional outcome to both lotteries with equal probabilities should not change the preference order. In other words if apples are better than bananas, then adding the probability of winning an orange with equal probability to either fruit should not change my preference ranking. The orange in this case is the 89% chance to win \$1 million dollars, which if added to lottery D.1 and D.2 returns the lotteries C.1 and C.2 but this time with the opposite choice! Again, psychologically what is going on here is that lotteries D.1 and D.2 do not have a regret factor whereas lottery C.1 establishes a reference point of \$1 million dollars which anchors subsequent decisions.

Throughout Kahneman’s book he describes two forces competing in our brain for decision making: those of System 1 and System 2. System 1 is the fast thinker whose intuitions and heuristics have been crafted by thousands of years of evolution. Because it is much more prudent to have a bird in the bag than two in the bush when you might starve the next day, evolution makes sure we are not too greedy and hence our preference for avoiding situations of regret. System 2 is the slow thinker that can be brought to bear when making decisions but it is fundamentally lazy and avoids being employed. It prefers to rely on System 1 and will usually take its input as given. However with enough energy, System 2 will acknowledge that there is something problematic about violating the independence axiom and would prefer to frame the problem in a way that maintains consistent choices across a range of situations.

For many statistical problems it is the leadership of System 1 that determines how humans behave and understand the stochastic world around them. One of the most important principles is that of What You See if All There Is (WYSIATI). This mechanism explains why humans ignore a given question and replace it with the current data. For example, the question of “will the current political party be re-elected” is reinterpreted as “is the current political party popular now”? WYSIATI also ensures that prior information is almost totally disregarded. When people are given information about a person’s description and then asked what profession they belong to, information about the different rates of professional employment have no impact of how likely someone is to assign them to a given category. As in, if someone sounds like they might be a farmer, it doesn’t matter if they live in Iowa or New York State, they are still just as likely to be a farmer. The fact that humans can both acknowledge that farming is more common in Iowa than New York State but then also think that the current evidence overrides this prior data totally may actually be a beneficial psychological phenomena as it leads to more entrepreneurship and risk taking. Sure most businesses fail, and sure the divorce rate is quite high, but my business/marriage is not affected by these prior rates.

Thinking Fast and Slow provides the reader with a bevy of delightful quirks in the way in which humans understand statistics and probability. Consider the Law of Small Numbers which says that humans act as though small samples have the same properties as large samples. This is particularly problematic in academic research whereby (most) professors falsely assume that they are powered to detect reasonable effect sizes. Suppose there is an urn with 100 balls, some of them red and some of them white. Most people believe that if you draw four balls with replacement and 3 are red and 1 is white provides more information for an unbalanced urn (i.e. not a 50-50 colour split) than drawing (14 red and 10 white).[1] Instead of grappling with sampling variability, System 1 is able to conjure up elaborate stories to fit the data. Consider the following statement: States with the highest rates of mental health problems are likely to be in conservative and more rural States that mainly vote Republican. Is this true, almost certainly, but so is the converse that the States with the lowest rates of mental health problems are in rural areas. It has nothing to do with their voting patterns but just their size: smaller samples yield higher variability.

The theoretical approach that Kahneman and Tversky used to understand how humans behave under uncertainty is that of prospect theory. Instead of net changes of wealth there are only gains and losses (because humans benchmark to some status quo). Losses are more painful than gains, leading to risk aversion in the domain of gains and risk seeking behavior for losses. People would rather face a doubling of their loss if it meant the possibility of recovering of their losses because the latter option is extremely ameliorating to the psyche. Note that this does not square with the theory of marginal utility.

My only complaint with this book is that the first part, which is more an overview of the field of psychology than behavioral economics, is in need of a serious revision. Many of the studies which Kahneman cites have either been debunked or more generally are failing to replicate on a systemic scale – in part because of the Law of Small Numbers that the book talks about! Since this book was published Kahneman has himself acknowledged that many of these areas of psychology need to do serious robustness checks on their research methodology. Given that the book is quite long (400+ pages along with two seminal papers in the appendix) I think Part I of the book could be wrapped up into other sections about 100 pages could be taken out in total.

Overall Thinking Fast and Slow is a great read, though it can be at times a bit repetitive in highlighting similarly idiosyncratic human behaviors. It is a great summary of the field of behavioral economics and the work of an impressive academic career. While I have not been in academic economics research for many years now, I would be curious to hear the most up-to-date analysis of how these insights are being built into modern theory. With most of the growth of applied consumer behavior research being carried out in e-commerce I wonder how prospect theory is being factored into the customer analytics and marketing strategies too that are enabled by big data too.


  1. If ones draws four balls from an urn, and the urn is truly 50-50, 31.25% of the time you’ll draw 0 or 1 white ball. Whereas if you draw 24 balls, only 27% of the time will there be 10 or less white balls (i.e. it’s a more unlikely event if the urn is truly 50-50). 

Written on May 28, 2018